COMMON NAME: Turkey Rhubarb
LATIN NAME: Rheum palmatum
HABITAT: The birthplace of Rheum palmatum is the mountain forests of Central China. There are 20 types of Rhubarb, which are grown in household plots, in vegetable gardens, and in specialized farms, as a food and medicinal plant.
BOTANICAL INFORMATION: Turkey Rhubarb, Chinese Rhubarb, Ornamental Rhubarb or Indian Rhubarb (Lat. Rheum palmatum L. var. Tanguticum Maxim.) is a representative of the Central Asian genus Rheum of the Polygonaceae family.
Rheum palmatum is a large perennial herb up to 150-250 cm in height, with many-headed dark brown short rhizome and large massive fleshy yellow roots.
-- Records of crystals, kept here for reference --
-- begin --
Record 1
The following is a PBE-GGA calculation of a geometry-optimized Pr4TmSc2 structure, from the Alexandria database.

Output
energy above the lowest structure with this stoichiometry = 0 meV/atom
formation energy = 3.71 kcal/mol of atoms
SG = P2_1/m (11)

a b c (Å): 5.594 6.909 11.996
angles (deg): 90.00 103.49 90.00
Sites, in units of the cell vectors:
Pr  0.064  0.250  0.127
Pr  0.220  0.750  0.439
Pr  0.356  0.505  0.714
Pr  0.356  0.995  0.714
Pr  0.644  0.005  0.286
Pr  0.644  0.495  0.286
Pr  0.780  0.250  0.561
Pr  0.936  0.750  0.873
Tm  0.081  0.750  0.160
Tm  0.919  0.250  0.840
Sc  0.205  0.250  0.411
Sc  0.495  0.250  0.991
Sc  0.505  0.750  0.009
Sc  0.795  0.750  0.589



Record 2
The following is a PBE-GGA calculation of a geometry-optimized Pm6PbSe2S3 structure, from the Alexandria database.

Output
raw formation energy = -1.699 eV per atom
SG = C2/m (12)

a b c (Å): 9.378 9.378 8.452
angles (deg): 103.69 103.69 25.46
Sites, in units of the cell vectors:
Pm  0.003  0.003  0.230
Pm  0.326  0.326  0.429
Pm  0.338  0.338  0.906
Pm  0.662  0.662  0.094
Pm  0.674  0.674  0.571
Pm  0.997  0.997  0.770
Pb  0.500  0.500  0.500
Se  0.169  0.169  0.836
Se  0.831  0.831  0.164
S  0.165  0.165  0.328
S  0.500  0.500  0.000
S  0.835  0.835  0.672



Record 3
The following is a PBE-GGA calculation of a geometry-optimized Ti2Ga2Sb structure, from the Alexandria database.

Output
energy above the lowest structure with this stoichiometry = 0 meV/atom
raw formation energy = -0.263 eV per atom
SG = P4/mbm (127)

a b c (Å): 6.957 6.957 3.910
angles (deg): 90.00 90.00 90.00
Sites, in units of the cell vectors:
Ti  0.154  0.346  0.000
Ti  0.346  0.846  0.000
Ti  0.654  0.154  0.000
Ti  0.846  0.654  0.000
Ga  0.145  0.645  0.500
Ga  0.355  0.145  0.500
Ga  0.645  0.855  0.500
Ga  0.855  0.355  0.500
Sb  0.000  0.000  0.000
Sb  0.500  0.500  0.000



Record 4
The following is a PBE-GGA calculation of a geometry-optimized La4SbP2 structure, from the Alexandria database.

Output
raw formation energy = -1.294 eV per atom
SG = Cmcm (63)

a b c (Å): 7.330 7.330 14.341
angles (deg): 90.00 90.00 145.53
Sites, in units of the cell vectors:
La  0.000  0.000  0.000
La  0.000  0.000  0.500
La  0.268  0.732  0.616
La  0.268  0.732  0.884
La  0.439  0.561  0.250
La  0.561  0.439  0.750
La  0.732  0.268  0.116
La  0.732  0.268  0.384
Sb  0.107  0.893  0.250
Sb  0.893  0.107  0.750
P  0.364  0.636  0.061
P  0.364  0.636  0.439
P  0.636  0.364  0.561
P  0.636  0.364  0.939



Record 5
The following is a PBE-GGA calculation of a geometry-optimized Sm3IrBr2 structure, from the Alexandria database.

Output
raw formation energy = -1.101 eV per atom
SG = Immm (71)

a b c (Å): 8.124 8.124 8.124
angles (deg): 150.80 137.77 52.17
Sites, in units of the cell vectors:
Sm  0.000  0.000  0.000
Sm  0.375  0.375  0.000
Sm  0.625  0.625  0.000
Ir  0.500  0.000  0.500
Br  0.189  0.689  0.500
Br  0.811  0.311  0.500



Record 6
-- stop --
The stems of Rhubarb are with reddish specks, straight, bare, weakly ramified, and slightly broad. Bottom leaves are large, in rosettes, with a petiole up to 1.5 m. The blades of the leaves are pointed, unequally coarsely cut. The flowers are small in large paniculate inflorescences, pinkish-white or red in color. The flowers of the representatives of the genus Rhubarb, are characterized by a doubling of the stamens of the outer circle and a falling perianth. The fruit of the Rhubarb is a broad-nutlet, 7-10 mm long. Flowering occurs in June, and fruit ripening starts in July-August.
The roots and rhizomes of Rhubarb contain two groups of glycosides: tannoglikozidy, including tannins of the pyrocatechol group and causing astringent properties, derivatives of gallic acid, as well as antraglycosides, chrysophanein, glucoaloee-emodin, glucoemodin and glucorein. The content of antraglycosides increases markedly with the age of the plant. Also, rhizomes and Rhubarb roots contain a lot of starch, tar and pectin, flavonoids, tannins. The leaves contain ascorbic acid, iron salts, ergosterol, oxalic and malic acids. In addition, the plant contain a large amount of minerals and vitamins, for example calcium, copper, iron, magnesium, manganese, phosphorus, selenium, zinc, vitamin A, vitamin B 2, vitamin B3, vitamin B5, vitamin B12, vitamin C, vitamin E, vitamin K. Rheum palmatum is also rich in ferulic acid, phenolic acid, caffeic acid, sinapinic acid and vanillic acid.
The great Venetian traveler Marco Polo in the XIII century was the first European who described the Rhubarb collection.
China has long maintained a monopoly on Rhubarb, moreover, during the Middle Ages, delivery to Europe was extremely expensive. Therefore, the cost of Rhubarb roots at that time exceeded the cost of saffron or cinnamon, and in the lists of Chinese goods, Rhubarb ranked alongside with silk, pearls and diamonds.
In the 16th century, the British brought Rhubarb varieties with edible thick petioles. Soon the young stalks with sugar became a favorite delicacy of all segments of the population of the country. Rhubarb began to spread throughout Europe and even crossed the ocean, and settled on the American continent.
*This article is for informational purposes only. We suggest consulting a physician before using these or any other herbal supplements.